I couldn't resist going back for 'seconds' of the Ventnor Wall Lizards yesterday as the sun was out and despite the gale force winds it was warm, if you could find some shelter. The weather for the remainder of the week looks a bit grim so this was my last chance to see them and try to get some video footage. As soon as I arrived I could see that the vegetation cover along the base of the wall had been completely removed! On Friday there had been a low cover of Red Valerian, patches of grass and one or two plants of Alexanders. Today, nothing except a couple of shrubs growing at the top of the wall on the edge of the car park itself! Why as a nation do we have an obsession with being neat and tidy about our hedgerows, wild places (and footpath edges)? Sometimes I think wildlife doesn't stand a chance. A young local couple who passed as I was taking photos of the only Wall Lizard on show today, also stopped in dismay. "Everyone knows this is where you find the Wall Lizards. Why has their cover been removed?" Why indeed? Without corridors of habitat how can anything move around and survive without predation? Sadly though the non-native Wall Lizards aren't really offered any form of legal protection. So, despite their longevity at the site, there's nothing to stop them being wiped out if the area was ever to be developed.
I'm sure they'll survive though, they've been here for 174 years and there's plenty of cover elsewhere but as the wall forms one side of a footpath about 8-10 feet wide, the vegetation can't have been doing any harm at all as it was only 12-18 inches high. At least today's individual was another stunning green-backed male in his finest breeding colours. Let's hope he can find a mate.
Wall Lizard, male. Ventnor, I-O-W: R. Harris |
Wall Lizard, male: R. Harris |
I did get some video of him too and as promised, here it is - short but sweet:
**Materials data, as found in the file:**
=====
(1)
Diffraction record for CaLaDy14. The powder diffractogram is calculated, not measured: it uses a crystal structure in Alexandria, relaxed with GGA-PBE and Cu Kα.
Kinematic intensities with the Lorentz-polarization factor, no thermal factor.

The 6 most intense peaks (15° ≤ 2θ ≤ 90°), by angle:
| two_theta | I/Imax |
| --- | --- |
| 28.30 | 24 |
| 31.48 | 24 |
| 32.47 | 100 |
| 50.10 | 20 |
| 56.68 | 20 |
| 60.38 | 22 |

Structural model:
```
CaLaDy14
1.0
11.368 0.000 0.000
0.000 3.638 6.314
0.000 -3.638 6.314
Ca La Dy
1 1 14
Cartesian
0.000 0.000 0.000
0.000 0.000 6.295
0.000 -1.805 3.154
0.000 1.805 3.154
2.850 0.000 4.203
2.885 0.000 10.497
2.911 -1.803 7.383
2.911 1.803 7.383
5.684 0.000 0.001
5.684 -1.818 3.157
5.684 1.818 3.157
5.684 0.000 6.323
8.457 -1.803 7.383
8.457 1.803 7.383
8.483 0.000 10.497
8.518 0.000 4.203
```

(2)
Diffraction record for CaLaDyLu. The powder diffractogram is calculated, not measured: it uses a crystal structure in Alexandria, relaxed with GGA-PBE and Cu Kα.
Kinematic intensities with the Lorentz-polarization factor, no thermal factor.

The 6 most intense peaks (15° ≤ 2θ ≤ 90°), by angle:
| two_theta | I/Imax |
| --- | --- |
| 18.75 | 14 |
| 30.85 | 100 |
| 44.19 | 19 |
| 54.86 | 39 |
| 72.99 | 17 |
| 89.45 | 20 |

Structural model:
```
CaLaDyLu
1.0
8.198 0.000 0.000
0.000 8.198 0.000
0.000 0.000 8.198
Ca La Dy Lu
4 4 4 4
Cartesian
0.000 0.000 0.000
0.000 4.099 4.099
4.099 0.000 4.099
4.099 4.099 0.000
2.049 2.049 2.049
2.049 6.148 6.148
6.148 2.049 6.148
6.148 6.148 2.049
2.049 2.049 6.148
2.049 6.148 2.049
6.148 2.049 2.049
6.148 6.148 6.148
0.000 0.000 4.099
0.000 4.099 0.000
4.099 0.000 0.000
4.099 4.099 4.099
```

(3)
Diffraction record for Ca3La3DyS8. The powder diffractogram is calculated, not measured: it uses a crystal structure in Alexandria, relaxed with GGA-PBE and Cu Kα.
Kinematic intensities with the Lorentz-polarization factor, no thermal factor.

The 6 most intense peaks (15° ≤ 2θ ≤ 90°), by angle:
| two_theta | I/Imax |
| --- | --- |
| 25.49 | 35 |
| 26.67 | 28 |
| 30.95 | 100 |
| 44.20 | 35 |
| 44.47 | 35 |
| 54.93 | 18 |

Structural model:
```
Ca3La3DyS8
1.0
4.098 2.366 6.634
-4.098 2.366 6.634
0.000 -4.732 6.634
Ca La Dy S
3 3 1 8
Cartesian
-2.049 -1.183 6.634
-2.049 1.183 13.267
0.000 2.366 6.634
-4.098 0.000 9.950
-2.049 1.183 3.317
2.049 1.183 3.317
0.000 0.000 9.950
0.000 0.000 5.041
0.000 -2.247 8.340
-1.946 1.124 8.340
-1.946 -1.124 11.560
1.946 1.124 8.340
1.946 -1.124 11.560
0.000 2.247 11.560
0.000 0.000 14.860
```

(4)
Diffraction record for Ca4LaDy3Se8. The powder diffractogram is calculated, not measured: it uses a crystal structure in Alexandria, relaxed with GGA-PBE and Cu Kα.
Kinematic intensities with the Lorentz-polarization factor, no thermal factor.

The 6 most intense peaks (15° ≤ 2θ ≤ 90°), by angle:
| two_theta | I/Imax |
| --- | --- |
| 30.34 | 100 |
| 43.18 | 37 |
| 43.71 | 36 |
| 54.14 | 19 |
| 71.25 | 16 |
| 72.02 | 16 |

Structural model:
```
Ca4LaDy3Se8
1.0
=====
Editorial update - this is part of the response received from Ventnor's deputy mayor regarding the habitat destruction:
"It isn't possible to fine-tune a weed-control and grass-cutting contract under any realistically-priced regime. It would have to be either 'on' or 'off'. Although my sympathies are with the nature-lovers, I have to accept that if our town looks scruffy and uncared-for, visitors won't come back and that is bad news. My immediate response as a gardener is 'the plants will grow again, and fast, and in a week or two neither the lizards nor the visitors will notice any difference'. These tough native plants re-grow like bandits."
That's how much respect the people in charge have for these magnificent creatures! Obviously not concerned that lizards may well have been killed by the strimmer as they hid in the vegetation or that the cover is required to hide from predators, feed and breed in. A shameful attitude and our country is all the poorer for it.